I can’t seem to run any C++ Projects in 4.16.2 Everytime I run from Visual Studio, the engine tells me that the module is out of date (which it obviously isn’t).
Nevermind, this seems to be an issue with the new format for the Target.cs and Build.cs files.
Is this available in source code form? We’re curious to see if we can build for linux with USD, but one of our guys did a scan of github, and couldn’t find any references to it.
There isn’t a ready-made way to do that at the moment, but it certainly can be built via Procedural SoundWaves and the new Synthesizer architecture. I would start looking at the existing Envelope Follower Source Effect as a starting point, which is as close as it gets at the moment.
That’s a shame as i was hoping there would be like a master mix we could use instead of individual sounds. I can follow guides and do basic stuff with blueprints but not much beyond that sadly so i guess it’s not possible then?
Here the page breaks off for materials data.
This record from Alexandria via LeMat-Bulk describes Sc3BiB after structural relaxation. The functional is GGA-PBE.

```
Sc3BiB
1.0
-1.0744 -1.2792 3.5589
-0.2716 -3.6641 -1.3990
7.6223 -1.2693 1.8450
Bi B Sc
1 1 3
Cartesian
0.7792 -0.1298 0.1886
3.8971 -3.2327 2.1861
3.0771 -2.3671 0.0782
5.4798 -0.9125 1.3264
2.6756 -1.1746 2.5571
```

Properties
Its relative energy among the computed polymorphs is 641 meV per atom. Its space group is P4mm, No. 99. The crystal system is tetragonal. For the formation energy, the calculation gives 0.0750 eV/atom. The final energy is -5.84 eV/atom.

* * * * *

First-principles (SCAN) data for a PBEsol-optimized structure of Ba2CaAl, as listed in Alexandria.

- DFT formation energy (eV/f.u.) = 0.27
- total moment (μB/f.u.) = 0.0

abc: 4.0821 5.5059 7.4540
angles: 90.00 105.83 90.00
Positions (direct):
Ca1 0.3234 0.0000 0.5203
Ba1 0.7081 0.5000 0.2899
Ba2 0.0351 0.0000 0.9469
Al1 0.4334 0.5000 0.7430
Having an issue where I cant get a physics asset to start on a character blueprint. works fine on any mesh placed into a level
Also It looks like the rotation on spring controllers still isn’t working
Oh, it’s plenty possible. There’s a staggering list of what is now possible thanks to Aaron’s efforts on creating the new Audio Engine architecture. It’s more a matter of how best to spend Aaron’s talents. Do we have him chase down tiny, leafy features? Or do we have him continue to tackle big scale efforts?
Part of the goal with the new architecture was to offer users a framework with which to build their own synthesizers, source and submix effects–in effect extending the power of the Engine. Thanks to Aaron’s efforts, creating an FFT Submix effect is now easier and our hope is that the community embraces the opportunity to create awesome new things with the Unreal Engine–things that would be impossible in any other game engine!
With that said, all of these ideas are on our radar. We’re eager to continue developing out what we have but we’re equally excited by what you cats are able to create with this new framework!
We have just released Preview 3 for 4.16! Thank you for your continued help in testing the 4.16 build before its official release. As a reminder, the Preview builds are for testing only, and should not be used for the active development of your project.
Unrelated to this article: materials data.
[1]
CoSb3O | the Alexandria database | GGA-PBEsol | relaxed; relative energy among the computed polymorphs = 254 meV/atom; total magnetic moment = 0.012 μB/cell; formation energy from raw total energies = 2.87 eV/f.u.; crystal system = cubic
1.0
-4.5637 -1.3623 -0.0948
0.3035 -1.3343 4.5629
-1.3314 4.3654 1.3651
Co Sb O
1 3 1
Cartesian
0.0000 0.0000 0.0000
-0.6657 2.1827 0.6825
-2.2819 -0.6811 -0.0474
0.1518 -0.6671 2.2815
-2.7958 0.8344 2.9166

---

[2]
TaIn4Sb | the Alexandria database | GGA-PBEsol | relaxed; total magnetic moment = 0.000 μB/cell; formation energy from raw total energies = 3.16 eV/f.u.; crystal system = cubic
1.0
-4.7718 3.2078 -0.1715
-2.5888 1.0376 -5.0310
-5.0695 -2.4468 -1.1846
In Sb Ta
4 1 1
Cartesian
-7.0520 2.2863 -2.4768
-7.2017 -0.5573 -2.9863
-4.6523 0.6732 -2.3906
-5.9542 1.1950 -4.9206
-9.3226 1.3490 -4.7903
0.0000 0.0000 0.0000

---

[3]
ErCuNi | the Alexandria database | GGA-PBEsol | relaxed; total magnetic moment = 0.000 μB/cell; formation enthalpy at 0 K = -34 kJ per mole of atoms; crystal system = orthorhombic
1.0
-4.1000 -2.7131 -0.6975
0.2580 -4.2425 -2.6903
-0.4866 -4.4155 2.3599
Cu Er Ni
2 2 2
Cartesian
-0.2433 -2.2078 1.1800
-2.2933 -3.5643 0.8312
-3.9128 -7.8343 0.4461
-0.4158 -3.5368 -1.4740
-2.0500 -1.3565 -0.3488
-2.1643 -5.6856 -0.5140

---

[4]
Al2TlCr | the Alexandria database | GGA-PBEsol | relaxed; relative energy among the computed polymorphs = 0 meV/atom; total magnetic moment = 1.112 μB/cell; formation enthalpy at 0 K = 29 kJ per mole of atoms; crystal system = tetragonal
1.0
3.9160 0.0000 0.0000
0.0000 3.9167 0.0000
-1.9580 -1.9584 4.2097
Tl Cr Al
1 1 2
Cartesian
0.0000 1.9584 0.0000
1.9580 0.0000 0.0000
1.9580 1.9584 2.1049
0.0000 0.0000 2.1048

---

[5]
Ca2ZnGaSe | the Alexandria database | GGA-PBEsol | relaxed; total magnetic moment = 0.000 μB/cell; formation energy from raw total energies = -1.71 eV/f.u.; crystal system = tetragonal
1.0
4.7590 0.0000 0.0000
0.0000 5.4218 0.0000
0.0000 0.0000 5.4218
Zn Ca Se Ga
1 2 1 1
Cartesian
2.3795 0.0000 0.0000
0.0000 0.0000 2.7109
0.0000 2.7109 0.0000
0.0000 0.0000 0.0000
2.3795 2.7109 2.7109

---

[6]
Sr2AlSnS | the Alexandria database | GGA-PBEsol | relaxed; total magnetic moment = 0.918 μB/cell; formation energy from raw total energies = 1.15 eV/f.u.; crystal system = tetragonal
1.0
-2.4786 4.2625 0.7270
-4.0396 -2.9884 3.7489
3.6421 1.2752 4.9409
Sn Al Sr S
1 1 2 1
Cartesian
0.0000 0.0000 0.0000
-1.4381 1.2746 4.7084
-2.0198 -1.4942 1.8745
1.8210 0.6376 2.4704
-1.2393 2.1312 0.3635

---

[7]
Y3TaFe | the Alexandria database | GGA-PBEsol | relaxed; total magnetic moment = 2.679 μB/cell; formation enthalpy at 0 K = 117 kJ per mole of atoms; crystal system = cubic
1.0
5.3205 0.0000 0.0000
0.0000 5.3205 0.0000
0.0000 0.0000 5.3205
Ta Y Fe
1 3 1
Cartesian
0.0000 0.0000 0.0000
2.6602 0.0000 0.0000
0.0000 0.0000 2.6602
0.0000 2.6602 0.0000
2.6602 2.6602 2.6602

---

[8]
For a list of known issues affecting this latest preview, please follow the links provided on the first post in this thread.
-- Attached: crystal structures --
[1]
Material: La3RePt
Method: DFT, GGA-PBEsol
State: optimized geometry

```
data_La3RePt
_space_group_name_H-M_alt 'P 1'
_space_group_IT_number 1
_cell_length_a 5.343
_cell_length_b 5.343
_cell_length_c 5.343
_cell_angle_alpha 90.00
_cell_angle_beta 90.00
_cell_angle_gamma 90.00
loop_
_space_group_symop_operation_xyz
'x,y,z'
loop_
_atom_site_label
_atom_site_type_symbol
_atom_site_fract_x
_atom_site_fract_y
_atom_site_fract_z
_atom_site_occupancy
Pt1 Pt 0.500 0.500 0.500 1
La1 La 0.000 0.500 0.000 1
La2 La 0.500 0.000 0.000 1
La3 La 0.000 0.000 0.500 1
Re1 Re 0.000 0.000 0.000 1
```

***

[2]
# Sb2AsPt | Alexandria | GGA-PBEsol | optimized geometry
# ΔE_f (raw): -0.8 eV per formula unit
data_Sb2AsPt
_space_group_name_H-M_alt 'P 1'
_space_group_IT_number 1
_cell_length_a 3.897
_cell_length_b 4.908
_cell_length_c 4.908
_cell_angle_alpha 112.18
_cell_angle_beta 90.00
_cell_angle_gamma 90.00
loop_
_space_group_symop_operation_xyz
'x,y,z'
loop_
_atom_site_label
_atom_site_type_symbol
_atom_site_fract_x
_atom_site_fract_y
_atom_site_fract_z
_atom_site_occupancy
Sb1 Sb 0.000 0.038 0.962 1
Sb2 Sb 0.500 0.740 0.260 1
As1 As 0.000 0.463 0.537 1
Pt1 Pt 0.500 0.261 0.739 1

***

[3]
# ZrSiW2 | Alexandria | GGA-PBEsol | optimized geometry
# ΔE_f (raw): -0.2 eV per formula unit
data_ZrSiW2
_space_group_name_H-M_alt 'P 1'
_space_group_IT_number 1
_cell_length_a 3.210
_cell_length_b 4.582
_cell_length_c 4.898
_cell_angle_alpha 104.45
_cell_angle_beta 109.13
_cell_angle_gamma 90.00
loop_
_space_group_symop_operation_xyz
'x,y,z'
loop_
_atom_site_label
_atom_site_type_symbol
_atom_site_fract_x
_atom_site_fract_y
_atom_site_fract_z
_atom_site_occupancy
Zr1 Zr 0.000 0.500 0.000 1
W1 W 0.761 0.784 0.523 1
W2 W 0.239 0.216 0.477 1
Si1 Si 0.500 0.000 0.000 1

***

[4]
Material: La2ZnRh
Method: DFT, GGA-PBEsol
State: optimized geometry

```
data_La2ZnRh
_space_group_name_H-M_alt 'P 1'
_space_group_IT_number 1
_cell_length_a 3.682
_cell_length_b 3.718
_cell_length_c 6.954
_cell_angle_alpha 96.00
_cell_angle_beta 90.00
_cell_angle_gamma 90.00
loop_
_space_group_symop_operation_xyz
'x,y,z'
loop_
_atom_site_label
_atom_site_type_symbol
_atom_site_fract_x
_atom_site_fract_y
_atom_site_fract_z
_atom_site_occupancy
Rh1 Rh 0.500 0.500 0.500 1
Zn1 Zn 0.500 0.500 0.000 1
La1 La 0.000 0.064 0.266 1
La2 La 0.000 0.936 0.734 1
```

***

Number 1: D(E_F) 4.38 states/eV per cell, E_tot -34.94 eV per cell. Number 2: D(E_F) 2.08 states/eV per cell, E_tot -21.95 eV per cell. Number 3: D(E_F) 2.13 states/eV per cell, E_tot -42.64 eV per cell. Number 4: D(E_F) 3.05 states/eV per cell, E_tot -22.15 eV per cell.

----------

The following is a PBE calculation of PmTmTeO6 after structural relaxation, from Alexandria via LeMat-Bulk.

Lattice parameters (Å, degrees): 5.5329 5.5329 9.8269 90.00 90.00 120.00
With the nearest neighbours (Å) after each atom.
Atoms (fractional coordinates):
Pm  0.0000  0.0000  0.0000  6 O 2.41
Pm  0.0000  0.0000  0.5000  6 O 2.41
-- The crystal structures stop here --
Fixed in Preview 3
Fixed! UE-44624 Rear tires on vehicle in VehicleGame sample detach and drift back from axel as user accelerates Fixed! UE-44553 Paint Mode Toolbar Icons do not exist when Use Small Toolbar Icons is true Fixed! UE-41915 Incorrect physics interaction on rotated meshes using Complex as Simple collision Fixed! UE-44494 Master Pose broken with sequencer Fixed! UE-44429 Crash on attempting to paint on cloth object Fixed! UE-44400 [CrashReport] UE4Editor_ClothingSystemRuntime!FClothingSimulationNv::UpdateLod() [clothingsimulationnv.cpp:801] Fixed! UE-44328 Convex Hull Generation can get stuck in an infinite loop Fixed! UE-44285 Setting strength on a linear motor in Phat will display — Fixed! UE-44486 Enable physx libs GPU hooks Fixed! UE-44725 “LogTemp:Warning: Running Get” when placing or selecting Physics Constrain Actor Fixed! UE-44185 Many D3D12 errors when running with -d3ddebug Fixed! UE-44376 GitHub 3512 : [4.16] Intel Compiler 2017 fixes Fixed! UE-39768 Rare crash occurs when recompiling a blueprint in VREditor (see comments) Fixed! UE-44659 Crash after saving Blueprint that is marked as not needs load for server Fixed! UE-44702 Code based interfaces do not appear in Interface selection dropdown Fixed! UE-44676 Incorrect display for default exec pin for Switch nodes Fixed! UE-44744 Nativized packaging fails for UnrealMatch3 Fixed! UE-44708 Blueprint child does not override parent mesh in Nativized build Fixed! UE-44519 Crash when applying a LandscapeVisibilityMask material to a Landscape’s material slot Fixed! UE-44697 Need to improve POM version parsing to handle latest Google Play Services Fixed! UE-44658 Cleanup of previous packagename Build/Android/src files doesn’t include Intermediate/Android/APK/src Fixed! UE-44660 Possible exception if Intermediate/Android/APK/src does not exist Fixed! UE-44615 Command line arguments can affect next ant.bat run Fixed! UE-44766 GenerateProjectFiles generates warning Fixed! UE-44022 HTML5: Linux Launch On fails to open Firefox due to missing profile Fixed! UE-43895 iOS Pressing home button crash Fixed! UE-44668 Post-Exit crash when closing ShooterGame project Fixed! UE-44679 Certain levels have little lighting in ContentExamples on Mac Fixed! UE-44521 Minor RHI State Cache breaks pre-pso codepath Fixed! UE-44601 Checkerboard pattern overlay in viewport of ContentExamples on Mac Fixed! UE-44084 Moving an actor to a different level does not show that the object bound to the track is missing Fixed! UE-44616 Spawnables don’t appear immediately when dragging them into sequencer Fixed! UE-44628 Crash selecting an object binding inside the Get Sequence Binding node. Fixed! UE-44600 Convert to spawnable doesn’t work Fixed! UE-44648 LogMovieScene Warnings when rendering movie sequence in QA-Sequencer Fixed! UE-44631 Crash selecting Unresolved Binding drop down when no sequence is selecting on the Get Sequence Binding node Fixed! UE-44304 Creating and running a code project while another project is open will fail to load module and crash new project editor. Fixed! UE-44594 Crash importing USD files via scene import Fixed! UE-44223 Compile failure packaging for Linux in arm-unknown-linux-gnueabihf from Windows Fixed! UE-44020 Crash opening the Project Settings on Linux Unable to get IOSTargetPlatform module Fixed! UE-44650 Setup.sh can fail on Ubuntu server Fixed! UE-44621 GitHub 3532 : provide a GRHIVendorId if graphics card vendor name is ‘X.Org’ (for l? Fixed! UE-37194 FixDeps step will relink Engine modules even if only project code was changed Fixed! UE-44715 Nested UMG widgets can lose their localization in cooked games Fixed! UE-43370 Backspace Key not activating when working with 3D Widgets Fixed! UE-44635 Windows Mouse cursor no longer updates properly after existing PIE session using Hardware Cursors with Escape key Fixed! UE-44404 Continuous output log spam after using VR Mode with Vive/SteamVR Fixed! UE-44347 GitHub 3507 : Fix FSteamVRHMD::VulkanBridge::FinishRendering triggering assert in F? Fixed! UE-44729 Crash opening Linux UE4Editor during CreateHeadMountedDisplay
No - this just adds the relevant hooks in the UE4 version of PhysX, so it is more possible to get GPU PhysX libs from NVIDIA. You’d still need to talk to them though, GRB is not something that we support at the moment.
Any chances of having Fixed Particle Bounding Boxes fixed for 4.16? This is quite a major issue as it prevents you from using GPU Particles in 4.15 at all.
Super stoked to see this tool evolve, thanks your efforts!
I have a potentially blender-specific quirk, where when I enter cloth paint mode from a blender-exported skeletal mesh, the cloth section moves off the rest of the skeletal mesh, as if the up vector changes from +Z to -Y. I can’t seem to find any export settings that changes this behaviour, so I was curious if you might have any thoughts. It’s not too big of a deal as I can still do my painting and then it snaps back into place and behaves as expected when I’m done, but I thought I’d check in case there’s a better practice that I can adopt!